-- Brief --
Copy the whole of the lines further down without altering anything.

-- Entries --
{
  "formula": "C6H9F",
  "method": "ωB97M-V/def2-TZVPD",
  "elements": ["C", "C", "C", "C", "C", "C", "F", "H", "H", "H", "H", "H", "H", "H", "H", "H"],
  "xyz": [[-1.4227, 0.7512, 0.5543], [0.0135, 0.8217, 0.3063], [0.8507, -0.3732, 0.7104], [1.4833, -0.7213, -0.6098], [0.4529, -0.6990, -1.6760], [0.4751, 0.7372, -1.1368], [0.8552, 1.8202, -1.8139], [-1.9613, 1.7632, 0.2248], [-1.5686, 0.5407, 1.5721], [-1.9393, -0.1141, -0.0488], [0.5110, 1.7506, 0.8285], [0.3025, -1.1443, 1.1147], [1.7307, -0.0969, 1.4325], [2.5202, -0.8755, -0.7967], [0.7991, -0.7550, -2.6968], [-0.4840, -1.2745, -1.4428]],
  "forces_ev_per_a": [[-3.14, 0.84, -2.77], [2.75, 2.02, 0.04], [3.43, 0.96, 1.11], [-1.50, 2.94, -1.08], [-1.48, 0.89, 0.62], [1.84, -3.25, 0.89], [-0.07, 0.08, -0.54], [1.00, -2.20, 0.89], [-0.65, -0.02, 1.48], [1.00, 1.56, 1.04], [-1.12, -1.51, -1.12], [-1.31, -1.98, 1.27], [-1.89, -0.41, -1.00], [0.47, -0.06, -0.04], [0.00, -0.20, -0.13], [0.68, 0.34, -0.66]],
  "nbo_charge": [-0.5995, -0.2975, -0.3940, -0.2496, -0.4675, 0.4253, -0.3151, 0.2165, 0.2122, 0.2039, 0.2203, 0.1880, 0.2129, 0.2193, 0.2379, 0.1869],
  "lumo_ev": 1.125,
  "charge": 0,
  "spin_multiplicity": 1,
  "homo_lumo_gap_ha": 0.3285,
  "relative_energy_kcal_mol": 58.2,
  "max_force_ev_per_a": 4.28,
  "energy_ha": -333.76362
}

-- Completed --
{
  "formula": "C6H9F",
  "method": "ωB97M-V/def2-TZVPD",
  "elements": ["C", "C", "C", "C", "C", "C", "F", "H", "H", "H", "H", "H", "H", "H", "H", "H"],
  "xyz": [[-1.4227, 0.7512, 0.5543], [0.0135, 0.8217, 0.3063], [0.8507, -0.3732, 0.7104], [1.4833, -0.7213, -0.6098], [0.4529, -0.6990, -1.6760], [0.4751, 0.7372, -1.1368], [0.8552, 1.8202, -1.8139], [-1.9613, 1.7632, 0.2248], [-1.5686, 0.5407, 1.5721], [-1.9393, -0.1141, -0.0488], [0.5110, 1.7506, 0.8285], [0.3025, -1.1443, 1.1147], [1.7307, -0.0969, 1.4325], [2.5202, -0.8755, -0.7967], [0.7991, -0.7550, -2.6968], [-0.4840, -1.2745, -1.4428]],
  "forces_ev_per_a": [[-3.14, 0.84, -2.77], [2.75, 2.02, 0.04], [3.43, 0.96, 1.11], [-1.50, 2.94, -1.08], [-1.48, 0.89, 0.62], [1.84, -3.25, 0.89], [-0.07, 0.08, -0.54], [1.00, -2.20, 0.89], [-0.65, -0.02, 1.48], [1.00, 1.56, 1.04], [-1.12, -1.51, -1.12], [-1.31, -1.98, 1.27], [-1.89, -0.41, -1.00], [0.47, -0.06, -0.04], [0.00, -0.20, -0.13], [0.68, 0.34, -0.66]],
  "nbo_charge": [-0.5995, -0.2975, -0.3940, -0.2496, -0.4675, 0.4253, -0.3151, 0.2165, 0.2122, 0.2039, 0.2203, 0.1880, 0.2129, 0.2193, 0.2379, 0.1869],
  "lumo_ev": 1.125,
  "charge": 0,
  "spin_multiplicity": 1,
  "homo_lumo_gap_ha": 0.3285,
  "relative_energy_kcal_mol": 58.2,
  "max_force_ev_per_a": 4.28,
  "energy_ha": -333.76362
}